The Rock of Liberty

The Rock of Liberty is a blog dedicated to the restoration of our Constitutional Republic.

Location: Los Angeles, California, United States

Saturday, October 07, 2006

Foley's Fiasco

I don't know much about recently disgraced Republican Mark Foley or what he did in cyberspace with teenagers. It's clear, though, that he did some things that are inappropriate at best and disturbing and illegal at worst. At the end of the day, he's clearly not fit to serve the people of the state of Florida.

But as bad as what Foley did is (and it is bad), what have we learned since the story broke? We've learned some disturbing things about high-ranking members of the Republican House and what they knew, and we relearned that Democrats have no idea what's going on but try to cash in whenever a Republican is in the crosshairs.

Let's be clear: Speaker Hastert must resign. It's clear that he either knew or his direct subordinates knew. Either way, he covered it up. And because of that he needs to go. I've never really been a big fan of Hastert. He speaks cutely about conservative causes, but the reality is he's the leader of a reckless-spending group of hucksters. So, if this is what causes his departure as Speaker of the House (3rd in command of the country...) I'm all for it. And I really don't care if he actually knew. It sure seems like he did, but it could very well be he told his people to keep him in the dark about stuff like this. Sayonara, Denny.

[Next to the entry, the page also holds data records]
# 1
This record from the Alexandria database describes a geometry-optimized Pa2Ga3FeNi12 structure. The functional is PBE-GGA.

Values from the calculation:
symmetry	R-3m
Fermi-level density of states	0.716	states/eV per atom
formation energy	-35	meV/atom
E	-5.92	eV/atom

Cell: 8.532 8.532 8.532 Å, 43.61 43.61 43.61°
Fractional positions:
Pa 0.638 0.638 0.638
Pa 0.362 0.362 0.362
Ga 0.500 0.000 0.000
Ga 0.000 0.500 0.000
Ga 0.000 0.000 0.500
Fe 0.000 0.000 0.000
Ni 0.418 0.418 0.803
Ni 0.869 0.869 0.427
Ni 0.427 0.869 0.869
Ni 0.803 0.418 0.418
Ni 0.869 0.427 0.869
Ni 0.418 0.803 0.418
Ni 0.582 0.582 0.197
Ni 0.131 0.131 0.573
Ni 0.573 0.131 0.131
Ni 0.197 0.582 0.582
Ni 0.131 0.573 0.131
Ni 0.582 0.197 0.582



# 2
This record from the Alexandria database describes a geometry-optimized CaNbZn structure. The functional is PBE-GGA.

Values from the calculation:
ΔE to the lowest computed polymorph	31.3	kJ/mol of formula units
symmetry	P3m1
Fermi-level density of states	1.047	states/eV per atom
formation energy	203	meV/atom
E	-4.25	eV/atom

Cell: 4.770 4.770 6.920 Å, 90.00 90.00 120.00°
Fractional positions:
Nb 0.333 0.667 0.763
Nb 0.667 0.333 0.661
Ca 0.333 0.667 0.320
Ca 0.000 0.000 0.995
Zn 0.667 0.333 0.051
Zn 0.000 0.000 0.575



# 3
This record from the Alexandria database describes a geometry-optimized Ba6Te2Se3Br structure. The functional is PBE-GGA.

Values from the calculation:
symmetry	C2/m
Fermi-level density of states	0.284	states/eV per atom
E	-4.40	eV/atom

Cell: 4.811 9.670 10.798 Å, 103.62 102.87 90.00°
Fractional positions:
Ba 0.328 0.924 0.655
Ba 0.664 0.590 0.329
Ba 0.672 0.076 0.345
Ba 0.996 0.264 0.992
Ba 0.004 0.736 0.008
Ba 0.336 0.410 0.671
Te 0.836 0.672 0.672
Te 0.164 0.328 0.328
Se 0.500 0.500 0.000
Se 0.835 0.165 0.669
Se 0.165 0.835 0.331
Br 0.500 0.000 0.000



# 4
This record from the Alexandria database describes a geometry-optimized Pm6PrHo6 structure. The functional is PBE-GGA.

Values from the calculation:
symmetry	Cmmm
Fermi-level density of states	1.682	states/eV per atom
formation energy	212	meV/atom
E	-4.46	eV/atom

Cell: 6.634 6.634 11.194 Å, 90.00 90.00 115.30°
Fractional positions:
Pm 0.000 0.000 0.667
Pm 0.000 0.000 0.333
Pm 0.358 0.642 0.000
Pm 0.642 0.358 0.000
Pm 0.267 0.733 0.500
Pm 0.733 0.267 0.500
Pr 0.000 0.000 0.000
Ho 0.000 0.500 0.774
Ho 0.500 0.000 0.774
Ho 0.500 0.500 0.700
Ho 0.500 0.000 0.226
Ho 0.000 0.500 0.226
Ho 0.500 0.500 0.300



# 5
This record from the Alexandria database describes a geometry-optimized Ta2AgMo structure. The functional is PBE-GGA.

Values from the calculation:
ΔE to the lowest computed polymorph	101.4	kJ/mol of formula units
symmetry	I-4m2
Fermi-level density of states	1.181	states/eV per atom
formation energy	356	meV/atom
E	-8.99	eV/atom

Cell: 5.058 5.058 5.058 Å, 132.18 132.18 69.95°
Fractional positions:
Ag 0.500 0.500 0.000
Mo 0.750 0.250 0.500
Ta 0.000 0.000 0.000
Ta 0.250 0.750 0.500



# 6
[End of the data records]

Democrats, on the other hand, make me laugh. As always. Here we have a congressman with some degree of sexual deviancy considering he was soliciting minors on the internet for seedy sex chats. Not a good pastime. On cue the Democrats rose with righteous indignation and demanded Foley's head on a platter. Where was this indignation when the rape accusations against Clinton surfaced? Or the laundry list of sexual harassment charges against Bill? Or when he defiled his intern's blue dress? Or creatively utilized a cigar? Hypocrisy runs deeply through the veins of this once-proud party.

What's it all about though? Power. Plain and simple. The Republicans covered it up to hold onto power and the Democrats demanded Foley's head to put his seat in play. Look, Foley obviously has some problems and needs help. There's a human being we're shoving under the bus in the name of keeping or acquiring power. This is what our government of the people, by the people and for the people has become. This is what our laziness hath wrought.

-- Misplaced calculated crystals --
____________
A plane-wave DFT calculation with PBE was carried out for Cd2HPd3 after structural relaxation.

Computed properties:
The value obtained for the magnetic moment is 0.00 μB/atom. The calculation puts the density of states at the Fermi level at 0.30 states/eV per atom. As for the electronic total energy: -43.90 eV per cell. The space group is Fmmm.

Unit cell a=5.3345 b=5.3345 c=7.6423 alpha=109.05 beta=109.05 gamma=93.72
Last column: nearest neighbours and their distance in Å.
Fractional positions:
Cd (0.7954, 0.7954, 0.0000)  10 Pd 2.92-3.15, 1 Cd 2.99, 2 H 3.17
Cd (0.2046, 0.2046, 0.0000)  10 Pd 2.92-3.15, 1 Cd 2.99, 2 H 3.17
Cd (0.2500, 0.7500, 0.5000)  8 Pd 2.77-2.78, 4 H 2.86
Cd (0.7500, 0.2500, 0.5000)  8 Pd 2.77-2.78, 4 H 2.86
Pd (0.8069, 0.8069, 0.6138)  1 H 1.80
Pd (0.2145, 0.5885, 0.8030)  1 H 1.77
Pd (0.1931, 0.1931, 0.3862)  1 H 1.80
Pd (0.5885, 0.2145, 0.8030)  1 H 1.77
Pd (0.4115, 0.7855, 0.1970)  1 H 1.77
Pd (0.7855, 0.4115, 0.1970)  1 H 1.77
H (0.6729, 0.6729, 0.3459)  3 Pd 1.77-1.80
H (0.3271, 0.3271, 0.6541)  3 Pd 1.77-1.80

----------

Density functional theory data (PBE) for a relaxed structure of TmMg2Nb.

Computed properties:
energy of formation = 475 meV/atom
V = 92.1 Å³/cell

a b c (Å): 3.031 3.031 11.706
angles (deg): 82.56 82.56 60.00
Fractional positions:
Mg: 0.083 0.083 0.750
Mg: 0.917 0.917 0.250
Tm: 0.500 0.500 0.500
Nb: 0.000 0.000 0.000



Density functional theory data (PBE) for a relaxed structure of Tm2MgNb.

Computed properties:
energy of formation = 494 meV/atom
V = 100.1 Å³/cell
ΔE to the lowest computed polymorph = 382 meV per atom

a b c (Å): 3.155 3.155 11.753
angles (deg): 82.29 82.29 60.00
Each line ends with the local moment (μB).
Fractional positions:
Tm: 0.084 0.084 0.748  0.07
Tm: 0.916 0.916 0.252  0.07
Nb: 0.000 0.000 0.000  0.41
Mg: 0.500 0.500 0.500  0.00



| no. | DOS at the Fermi energy (states/eV per atom) |
| --- | --- |
| 1 | 1.108 |
| 2 | 1.311 |

----------

No. 1
# PBE KSeI2, relaxed
# Density (kg/m3): 3121
# DFT total energy (eV/cell): -37.337
# Formation energy (no corrections) (eV per atom): -0.413
data_KSeI2
_chemical_formula_sum 'K4 Se4 I8'
_cell_length_a 6.552
_cell_length_b 6.552
_cell_length_c 18.436
_cell_angle_alpha 90.00
_cell_angle_beta 90.00
_cell_angle_gamma 90.00
_symmetry_space_group_name_H-M 'I -4 2 d'
_symmetry_Int_Tables_number 122
_symmetry_space_group_name_Hall 'I -4 2bw'
loop_
_atom_site_label
_atom_site_type_symbol
_atom_site_fract_x
_atom_site_fract_y
_atom_site_fract_z
K1 K 0.000 0.000 0.000
Se1 Se 0.000 0.000 0.500
I1 I 0.153 0.250 0.625

No. 2
# PBE KSeI, relaxed
# Density (kg/m3): 2716
# DFT total energy (eV/cell): -16.951
# Formation energy (no corrections) (eV per atom): -0.781
data_KSeI
_chemical_formula_sum 'K2 Se2 I2'
_cell_length_a 6.096
_cell_length_b 5.363
_cell_length_c 9.230
_cell_angle_alpha 90.00
_cell_angle_beta 97.00
_cell_angle_gamma 90.00
_symmetry_space_group_name_H-M 'P 1 m 1'
_symmetry_Int_Tables_number 6
____________
-- So much for the calculated crystals --

If we choose to continue down the same path, electing the same type of people and excusing all of this behavior we deserve exactly what we get.